Environmental impact of using endoscopes
We often hear the question “Isn’t it better for the environment to use a reusable endoscope?” and we decided to put it to the test. That is why leading environmental professors from the University of Southern Denmark have investigated the impact of single-use bronchoscopes compared to the complex and resource demanding cleaning process of reusable bronchoscopes.2-5
Reprocessing of reusable endoscopes
The amount of disposable equipment and detergents used for reprocessing one reusable endoscope can be surprising for many. The picture illustrates an example of how much material is actually needed for cleaning one reusable endoscope.1
Complexity has a cost
Recently the US Center for Disease Control and Prevention (CDC) has published a new and more extensive guidance for the reprocessing of reusable endoscopes.2 The CDC is not alone; more and more national agencies and local institutions introduce strict(er) guidelines to minimise the risk of cross contamination and enhance patient safety.3-5
These guidelines call for extensive use of personal protection equipment and detergents, resulting not only in increased reprocessing costs but also in higher environmental burdens. This trend enables us to more confidently say that, from an environmental impact, there is not much difference between a reusable and a single-use bronchoscope – perhaps it may even be less impactful to choose the single-use?
“The use of cleaning materials and personal protective equipment determines that reusable bronchoscopes have comparable or higher material and energy consumption as well as emissions of CO2-equivalents and value of resource consumption to Ambu® aScope™ 4 Broncho single-use scopes.”6
The value of resources
Value of scarce resources in aScope™ 4 Broncho and materials used to reprocess reusable bronchoscopes.4
Materials used
Embodied energy in the materials of aScope™ 4 Broncho and materials used to reprocess reusable bronchoscopes.4
CO2-emission related to aScope™ 4 Broncho and materials used to reprocess reusable bronchoscopes.6
CO2 emissions, scarce resources, materials, etc. can be difficult to relate to – numbers can seem either very high or very low. We have put some of the numbers into perspective by relating them to activities we all know and understand.
Disposal of 1 aScope is equivalent to the disposal of 349 g of household waste7

1 aScope

349g household waste
CO2 emission equals
Everyday thousands of passengers fly from NYC to LA or the other way around making it one of the busiest air routes in the US.
The combined CO2 emission of 271 aScope 4 Broncho* equals one passenger flying one-way from LA to NYC**.
Or you can say that 271 bronchoscopies using aScope 4 Broncho have the same CO2 impact as the one passenger on the flight from LA to NYC.
* Both production and disposal
** According to Simapro version one person flying one km corresponds to 0.11 kg CO2
Here the text breaks off for data records:
{
  "formula": "LiTeRhBr2",
  "functional": "PBE",
  "state": "optimized geometry",
  "cell": [[5.867, 0.000, 0.000], [0.000, 5.867, 0.000], [0.000, 0.000, 5.004]],
  "species": ["Li", "Te", "Rh", "Br", "Br"],
  "frac_coords": [[0.000, 0.000, 0.000], [0.000, 0.000, 0.500], [0.500, 0.500, 0.000], [0.000, 0.500, 0.500], [0.500, 0.000, 0.500]],
  "space_group": "No. 123",
  "n_ef_per_ev_cell": 9.62,
  "total_energy_ev_per_cell": -12.838,
  "magnetic_moment_mub_per_cell": 1.53
}



{
  "formula": "LiTe2RhBr",
  "functional": "PBE",
  "state": "optimized geometry",
  "cell": [[5.762, 0.000, 0.000], [0.000, 5.762, 0.000], [0.000, 0.000, 4.659]],
  "species": ["Li", "Te", "Te", "Rh", "Br"],
  "frac_coords": [[0.000, 0.000, 0.000], [0.000, 0.500, 0.500], [0.500, 0.000, 0.500], [0.500, 0.500, 0.000], [0.500, 0.500, 0.500]],
  "polymorph_energy_mev_per_atom": 43,
  "space_group": "No. 123",
  "n_ef_per_ev_cell": 7.03,
  "total_energy_ev_per_cell": -14.039,
  "magnetic_moment_mub_per_cell": 0.86
}



{
  "formula": "Li2ZrRhBr",
  "functional": "PBE",
  "state": "optimized geometry",
  "cell": [[5.315, 0.000, 0.000], [0.000, 5.315, 0.000], [0.000, 0.000, 4.978]],
  "species": ["Li", "Li", "Zr", "Rh", "Br"],
  "frac_coords": [[0.000, 0.500, 0.000], [0.500, 0.000, 0.000], [0.000, 0.000, 0.000], [0.500, 0.500, 0.500], [0.000, 0.000, 0.500]],
  "space_group": "No. 123",
  "n_ef_per_ev_cell": 8.07,
  "total_energy_ev_per_cell": -15.855,
  "magnetic_moment_mub_per_cell": 2.82
}



{
  "formula": "Li2Ru2Br",
  "functional": "PBE",
  "state": "optimized geometry",
  "cell": [[6.140, 0.000, 0.000], [0.000, 6.140, 0.000], [0.000, 0.000, 3.587]],
  "species": ["Li", "Li", "Li", "Li", "Ru", "Ru", "Ru", "Ru", "Br", "Br"],
  "frac_coords": [[0.128, 0.372, 0.000], [0.372, 0.872, 0.000], [0.628, 0.128, 0.000], [0.872, 0.628, 0.000], [0.172, 0.672, 0.500], [0.328, 0.172, 0.500], [0.672, 0.828, 0.500], [0.828, 0.328, 0.500], [0.000, 0.000, 0.000], [0.500, 0.500, 0.000]],
  "polymorph_energy_mev_per_atom": 733,
  "space_group": "No. 127",
  "n_ef_per_ev_cell": 7.64,
  "total_energy_ev_per_cell": -41.362,
  "magnetic_moment_mub_per_cell": 0.00
}



{
  "formula": "LiRu4Br",
  "functional": "PBE",
  "state": "optimized geometry",
  "cell": [[0.000, 3.679, 3.679], [3.679, 0.000, 3.679], [3.679, 3.679, 0.000]],
  "species": ["Li", "Ru", "Ru", "Ru", "Ru", "Br"],
  "frac_coords": [[0.000, 0.000, 0.000], [0.126, 0.625, 0.625], [0.625, 0.126, 0.625], [0.625, 0.625, 0.126], [0.625, 0.625, 0.625], [0.250, 0.250, 0.250]],
  "space_group": "No. 216",
  "n_ef_per_ev_cell": 7.04,
  "total_energy_ev_per_cell": -35.422,
  "magnetic_moment_mub_per_cell": 3.37
}



{
  "formula": "LiRuBr3",
  "functional": "PBE",
  "state": "optimized geometry",
  "cell": [[5.161, 0.000, 0.000], [0.000, 5.161, 0.000], [0.000, 0.000, 5.161]],
  "species": ["Li", "Ru", "Br", "Br", "Br"],
Read the study
In November, 2018, the American Journal of Environmental Protection published the results of their research: Comparative Study on Environmental Impacts of Reusable and Single-Use Bronchoscopes.
Read the study here.
Ofstead CL, Quick MR, Eiland JE, Adams SJ. A Glimpse At The True Cost Of Reprocessing Endoscopes: Results Of A Pilot Project. www.bostonscientific.com [Internet]. 2017; Available from: https://www.bostonscientific.com/content/dam/bostonscientific/uro-wh/portfolio-group/LithoVue/pdfs/Sterilization-Resource-Handout.pdf
-- Materials data, kept here for reference --
┌──
Record 1
Material: ZrCd2Au
Method: DFT, GGA-PBE
State: relaxed

Calculated values
ΔE_f, eV per atom: -0.195
Space group: Pmmn (59)
Energy, eV per atom: -3.5960

a b c (Å): 4.7195 6.0335 5.6953
angles (deg): 90.00 90.00 90.00
Element x y z (fractional)
1 Cd 0.5000 0.7448 0.1418
2 Zr 0.0000 0.5000 0.4012
3 Au 0.0000 0.0000 0.3154
4 Au 0.5000 0.5000 0.6846
5 Zr 0.5000 0.0000 0.5988
6 Cd 0.0000 0.7552 0.8582
7 Cd 0.5000 0.2552 0.1418
8 Cd 0.0000 0.2448 0.8582

***

Record 2
Material: Sm2Ni7
Method: DFT, GGA-PBE
State: relaxed

Calculated values
ΔE_f, eV per atom: -0.345
Space group: R-3m (166)
Energy, eV per atom: -5.7219

a b c (Å): 12.4812 12.4812 12.4812
angles (deg): 22.96 22.96 22.96
Each line ends with the local moment (μB).
Element x y z (fractional)
1 Ni 0.5000 0.5000 0.0000  0.30
2 Ni 0.1092 0.6094 0.6094  0.11
3 Ni 0.5000 0.0000 0.5000  0.34
4 Ni 0.8908 0.3906 0.3906  0.11
5 Ni 0.0000 0.5000 0.5000  0.25
6 Ni 0.7217 0.7217 0.7217  0.19
7 Sm 0.1474 0.1474 0.1474  -0.03
8 Ni 0.2783 0.2783 0.2783  0.19
9 Ni 0.6094 0.1092 0.6094  0.14
10 Sm 0.9491 0.9491 0.9491  -0.04
11 Ni 0.6094 0.6094 0.1092  0.13
12 Sm 0.8526 0.8526 0.8526  -0.03
13 Ni 0.3880 0.3880 0.3880  0.20
14 Ni 0.5000 0.5000 0.5000  0.06
15 Ni 0.6120 0.6120 0.6120  0.20
16 Sm 0.0509 0.0509 0.0509  -0.04
17 Ni 0.3906 0.3906 0.8908  0.13
18 Ni 0.3906 0.8908 0.3906  0.14

***

> Look up the ΔE_f of the first one.

-0.195 eV per atom

~~~~~

First-principles (PBE) data for a geometry-optimized HfHPd2 structure, as listed in the Alexandria database.

- SG = I-42d
- ΔE to the lowest computed polymorph (meV per atom) = 0
- crystal system = tetragonal
- mass density (Mg/m³) = 11.79
- DOS(E_F) (states/eV/f.u.) = 2.498

```
HfHPd2
1.0
-3.299 3.299 2.539
3.299 -3.299 2.539
3.299 3.299 -2.539
Hf H Pd
2 2 4
Cartesian
0.000 0.000 0.000
0.000 3.299 1.269
3.299 0.000 1.269
0.000 0.000 2.539
1.649 -0.976 1.904
2.323 1.649 0.635
1.649 4.275 -0.635
0.976 1.649 3.174
```

***

First-principles (PBE) data for a geometry-optimized La3Pm2Ge4 structure, as listed in the Alexandria database.

- SG = P2_1/c
- ΔE to the lowest computed polymorph (meV per atom) = 0
- crystal system = monoclinic
- mass density (Mg/m³) = 6.63
- DOS(E_F) (states/eV/f.u.) = 6.903

```
La3Pm2Ge4
1.0
8.291 0.000 0.000
0.000 8.147 0.000
-2.982 0.000 7.398
La Pm Ge
6 4 8
Cartesian
0.000 0.000 0.000
-1.491 4.074 3.699
1.200 1.487 3.197
-0.292 2.586 6.896
5.600 5.561 0.501
4.109 6.660 4.200
1.391 5.409 2.035
-0.101 6.813 5.734
5.409 1.335 1.664
3.918 2.739 5.363
-1.806 0.999 4.567
-0.314 3.075 0.869
1.422 4.380 5.001
2.913 7.841 1.302
2.395 0.306 6.096
3.886 3.767 2.397
5.623 5.073 6.529
7.114 7.149 2.830
```

***

First-principles (PBE) data for a geometry-optimized LuPdAu structure, as listed in the Alexandria database.

- SG = I4mm
- ΔE to the lowest computed polymorph (meV per atom) = 670
- crystal system = tetragonal
- mass density (Mg/m³) = 10.90
- DOS(E_F) (states/eV/f.u.) = 1.178

```
LuPdAu
1.0
-1.626 1.626 6.895
└──
-- So much for the materials data --
Center for Disease Control and Prevention. Essential Elements of a Reprocessing Program for Flexible Endoscopes – Recommendations of the Healthcare Infection Control Practices Advisory Committee. 2016;1–12.
AAMI. American National Standard - Flexible and semi-rigid endoscope processing in health care facilities. 2015; Available from: https://my.aami.org/aamiresources/previewfiles/ST91_1504_preview.pdf
SGNA. SGNA Standards: standards of infection control in reprocessing of flexible gastrointestinal endoscopes. Gastroenterol Nurs [Internet]. 2012;33(1):70–80. Available from: https://www.sgna.org/Portals/0/Education/PDF/Standards-Guidelines/sgna_stand_of_infection_control_0812_FINAL.pdf
AORN. Guidelines and Tools for the Sterile Processing Team. 2018.
Sørensen B. L. and Grüttner H. Comparative Study on Environmental Impacts of Reusable and Single-Use Bronchoscopes. AJEP, 2018; 7(4) 55-62. Available from http://www.sciencepublishinggroup.com/journal/paperinfo?journalid=163&doi=10.11648/j.ajep.20180704.11
Nielsen, Thyge M. et al. 2016; Affalds-sortering på Gentofte Hospital.